Apparently it’s been documented that I use baked goods in the studio to modify my lighting. You know. Loaves of bread, fresh ginger cookies and those types of things. Yes, it’s funny. You are allowed to laugh. Go ahead and chuckle. Now for the explanation…

Betsy Hansen featured in Popular Photography Magazine

The image featured in print and online

Last October I was honored to be featured in an article about using light modifiers in the studio in Popular Photography Magazine. In updating some links on my website, I came across a short blurb on their website promoting a monthly photo challenge requesting photos with unique shadows. They used my photo for the contest, the same photo that was featured in the magazine.

********
Version a
The following is a quantum chemistry calculation of 2 unconnected molecules or ions with the total composition C2H7NO4, from the OMol25 dataset.

Results
2S+1 = 1
Total charge = 0
LUMO = 0.273 eV
Kohn-Sham gap = 8.4 eV

Geometry (Å):
C 0.041 -0.345 0.914
C 0.551 -0.049 -0.378
N -0.070 -0.744 -1.433
O -1.168 -0.869 1.087
O 0.724 -0.035 2.012
O -1.005 2.031 0.121
O 1.944 -0.134 -0.450
H -1.342 -1.382 0.266
H 0.105 -0.071 2.759
H -1.960 1.890 0.205
H 2.219 0.616 -0.995
H -0.114 1.412 -0.361
H 0.245 -0.568 -2.380
H -0.170 -1.752 -1.369



Version b
The following is a quantum chemistry calculation of 3 unconnected molecules or ions with the total composition C2H7NO4, from the OMol25 dataset.

Results
2S+1 = 1
Total charge = 0
LUMO = 0.230 eV
Kohn-Sham gap = 10.2 eV

Geometry (Å):
O -0.725 2.986 -0.357
C 0.085 2.273 0.151
N 0.036 0.876 0.199
C -0.935 0.095 -0.408
O -1.976 0.479 -0.869
H 1.018 2.641 0.616
H 0.788 0.393 0.676
H -0.657 -0.962 -0.558
H -2.151 -3.919 -1.301
H -2.723 -2.940 -0.272
O -2.156 -3.713 -0.354
H 3.726 0.093 0.889
H 2.787 1.184 0.447
O 2.884 0.515 1.140



version b (279.0 kJ/mol below the next structure)



Version a
The following is a quantum chemistry calculation of 2 unconnected molecules or ions with the total composition C3H6N2O2S, from the OMol25 dataset.

Results
2S+1 = 1
Total charge = 0
LUMO = -0.955 eV
Kohn-Sham gap = 7.6 eV

Geometry (Å):
C 3.653 -0.193 0.128
C 0.215 -0.866 -0.199
C -1.895 0.675 0.094
H 4.032 -1.310 -0.242
H 4.234 0.680 -0.459
H 3.820 -0.243 1.359
H -0.432 -1.787 -0.399
H 1.138 1.471 0.989
H -2.145 1.746 0.542
N 1.424 -0.946 0.036
N -0.554 0.390 0.034
O 2.237 0.125 -0.094
O 0.243 1.543 -0.285
S -3.026 -0.482 0.038



Version b
The following is a quantum chemistry calculation of 2 unconnected molecules or ions with the total composition C3H6N2O2S, from the OMol25 dataset.

Results
2S+1 = 1
Total charge = 0
LUMO = 0.609 eV
Kohn-Sham gap = 8.9 eV

Geometry (Å):
C -0.321 -0.467 0.313
C -0.942 0.954 0.238
C 0.980 0.507 -1.308
N 1.016 -0.344 -0.221
N 0.222 -0.631 -2.817
O -0.645 -0.039 -3.438
O 0.483 -1.801 -2.692
S -0.173 1.789 -1.161
H -0.147 -0.820 1.481
H -0.908 -1.123 -0.396
H -2.069 0.915 -0.039
H -0.639 1.648 1.102
H 1.722 0.658 -2.006
H 1.564 -1.237 -0.379



version b (440.5 kJ/mol below the next structure)



Version a
The following is a quantum chemistry calculation of a molecular structure, C3H6N2O2S, from the OMol25 dataset.

Results
2S+1 = 1
Total charge = 0
LUMO = -0.724 eV
Kohn-Sham gap = 7.6 eV

Geometry (Å):
C 1.802 0.778 0.928
C -0.254 0.059 -0.263
C -1.176 0.160 -1.403
H 1.293 0.328 1.911
H 2.720 0.241 0.931
H 1.990 1.998 1.208
H 0.303 1.323 -1.971
H -2.043 -0.647 -1.348
H -1.796 -1.848 2.386
N 0.927 0.766 -0.148
N -0.799 -0.914 0.285
O 1.431 1.219 -1.326
O -1.433 1.198 -2.118
S -0.348 -1.605 1.744



Version b
The following is a quantum chemistry calculation of 2 unconnected molecules or ions with the total composition C3H6N2O2S, from the OMol25 dataset.

Results
2S+1 = 1
********
Here the article continues

The caption read, “Betsy Hansen used a cookie (yes, a real cookie) over one of her lights to create an intricate shadow on the model’s face. This month we want you to try something similar. You don’t need to use a baked good as a light modifier. You simply need to use a light source that creates a strongly etched shadow.”

I’m pretty sure I know how the writer came to the conclusion that I used something from the bakery as part of my equipment arsenal. Do you remember the game telephone? Well, this game of telephone went something like this.

-- Here the text breaks off for data records --
~~~
12
Properties=species:S:1:pos:R:3:forces:R:3:mulliken_charge:R:1 method="wB97M-V/def2-TZVPD" max_force_ev_per_a=3.5 multiplicity=1 homo_energy_ev=-8.7 smiles="[H]/N=C(/NO)SC" e_tot_ev=-18032.075 de_lowest_ev=2.731
H -1.987018 0.976824 0.925012 -1.5 0.7 -1.1 0.356
N -0.651155 -0.781231 -0.906379 -1.0 -0.5 -0.4 -0.750
C 0.272652 -0.009350 -0.578405 3.4 0.2 -0.3 0.695
C -1.147517 0.855998 1.526818 0.6 -0.1 0.7 -1.055
H -1.137254 -0.165432 1.776121 0.2 -1.5 0.4 0.396
N 1.578660 -0.131022 -1.140035 -2.5 1.0 0.9 -0.199
H -1.279215 1.375463 2.462934 0.3 0.6 0.0 0.314
S 0.354809 1.240624 0.667397 0.2 0.8 0.1 -0.123
H 1.267871 -1.936189 -1.674052 -0.3 0.1 0.3 0.327
H -1.537454 -0.501361 -0.492209 0.1 -0.3 0.0 0.251
H 2.363150 0.311188 -0.697481 0.1 -0.3 0.3 0.217
O 1.902472 -1.235514 -1.869720 0.6 -0.6 -0.9 -0.429

~~~~~

A structure of composition C27H48N5PdSSi2, computed with ωB97M-V with the def2-TZVPD basis set.

Properties
Kohn-Sham gap (spin up / spin down) = 8.136 / 4.857 eV
HOMO level (spin up / spin down) = -9.95 / -10.60 eV
E_LUMO (spin up / spin down) = -1.81 / -5.74 eV
net charge = +1
2S+1 = 5

Cartesian coordinates (Å):
Pd: 0.3050 -0.0198 0.4145
S: -0.5577 1.4892 2.4917
Si: -1.6190 2.7415 -0.7931
Si: 3.7082 -0.6930 -0.6693
N: 2.2398 0.2363 -0.8891
N: -0.2039 1.7071 -0.8690
N: -3.9945 -1.5059 -0.0146
N: 1.7322 -0.2747 2.1597
N: -0.5148 -1.6174 2.4902
C: -3.8288 -2.6460 0.8447
C: 2.1297 1.0133 2.6849
C: 0.6951 -2.4083 2.7128
C: -1.8684 -1.5525 -1.2276
C: 2.5131 2.1315 -4.0103
C: -2.7495 2.3805 -2.3077
C: 4.7435 0.1101 0.7341
C: -1.0698 4.5742 -0.7009
C: -2.4062 -2.3543 -2.2290
C: -2.7965 -0.7834 -0.3234
C: 4.9867 -0.9488 -2.0689
C: 0.6731 1.8058 -1.8765
C: 2.8196 1.3125 -2.9598
C: -1.5755 -3.0290 -3.1016
C: -5.1598 -0.7143 0.2636
C: -1.0193 -1.0265 3.7315
C: 0.4118 2.6396 -2.9883
C: 0.9716 1.6197 3.4847
C: 1.9349 1.0817 -1.8769
C: 3.1923 -2.4726 -0.1777
C: 0.3276 -2.0259 -2.0267
C: -0.4848 -1.4009 -1.0901
C: 1.8837 -1.4587 2.9734
C: 1.2852 2.7974 -4.0283
C: -1.5920 0.3716 3.5082
C: -0.2054 -2.8534 -3.0044
C: -2.7670 2.5301 0.7185
H: -1.9930 -3.6710 -3.8651
H: 5.6934 -1.7152 -1.7628
H: 4.5474 -1.2757 -3.0064
H: 3.2090 2.2555 -4.8250
H: -2.5152 3.2435 1.4929
H: 1.0203 3.4352 -4.8573
H: -3.4816 -2.4253 -2.3214
H: -5.0802 -0.1702 1.2144
H: 4.7769 1.1938 0.6523
H: 5.5629 -0.0472 -2.2565
H: -4.7270 -3.2620 0.8093
H: -0.2053 -0.9686 4.4577
H: -1.7683 0.8772 4.4578
H: 2.1691 -2.5573 0.1822
H: -0.5221 4.9030 -1.5789
H: -3.0710 0.1451 -0.8297
H: 0.8090 1.1035 4.4277
H: 5.7631 -0.2576 0.6502
H: -2.5353 0.3116 2.9648
H: -1.8071 -1.6403 4.1915
H: -2.7309 3.2212 -2.9950
H: -5.3155 0.0060 -0.5380
H: -6.0271 -1.3707 0.3103
H: 2.3676 1.6715 1.8394
H: -0.4309 4.7469 0.1625
H: 1.9044 -1.1662 4.0266
H: -3.7888 2.2412 -2.0219
H: 3.2843 -3.1314 -1.0351
H: 3.7648 0.8055 -2.9579
H: 3.8567 -2.8652 0.5849
H: -2.7586 1.5425 1.1580
H: -2.4281 1.4980 -2.8551
H: 0.5853 -3.0997 3.5604
H: 3.0202 0.9523 3.3278
H: 0.4581 -3.3505 -3.6967
H: -2.9865 -3.2424 0.4978
~~~

  1. The original article in the printed magazine issue stated that I used a die-cut piece of paper over my studio strobe to help create a pattern of shadows. The information in the original article is correct.
  2. The information from the original article was then reformatted into a web piece that was placed on their website. Within that web piece, they included my photo with a caption which read, “The photographer gave extra focus to her strobes’ output by placing a 5-degree and 10-degree grid attachment to the lights on the model’s left and right, respectively. The lacey shadows across her face were cast by a ‘cookie’ made of die-cut craft paper.” (A “cookie” is nick-name for a piece of cardboard or other item that has had holes cut in it.)
  3. The final step, which is where the baked goods come into play, is when I assume that the writer mistakenly read the online article and the term cookie stuck in their head. That somehow got translated into an actual cookie for the photo contest.

The humorous thing is that the online article was written by the same person who wrote the little blurb about the photo contest. How does information get twisted like that when it’s the same person writing both items? I could understand if it was two different people, and maybe the person writing the photo contest blurb didn’t have an understanding of photography. A photography “cookie” turning into an actual cookie would make sense in that scenario, but that was not the case.

I’ve had several great laughs over this error. It’s wonderfully comical! I’m not keen on people thinking that I actually stick cookies onto my lights to create shadows. Seriously, the chocolate chips would be a melty mess! But, it’s a fun story about things that actually happen to photographers, and I get to share it with you.

Don’t believe everything you read on the web.
